Spare Parts and SKD


Automobile firms concern supply by spare parts with a great attention and a thrift. This results from the fact that overstocking by unmarketable spare parts conducts to considerable financial costs while the lack of best-selling details promotes drop of competitiveness of the car, to sale cutting-down, and is possible, and position loss in the market.

Operative supply of clients by qualitative spare parts to lorries, buses and the road-building technics is one of the important factors influencing the decision of clients of corporation VIB about purchase technicians. The general term of operation of technics, traffic safety depends on quality of spare parts used at repairs and regular service.

For maintenance of efficiency of supply with spare parts there are two most widespread variants of the decision – to deliver in considerable quantities spare parts from the country of the manufacturer of cars and to store in all largest cities, or to make the most running positions in the countries of sale of cars.

The first variant is preferable at the initial stage of an exit of new production on the market when the buyer is yet familiar with quality and productivity of the Chinese cars. At increase in sales volumes import of spare parts in great volumes leads to low efficiency of investments, low liquidity of spare parts. Thus the cost price of spare parts only increases in due course at the expense of storage costs in a warehouse.

Manufacture of quickly wearing out spare parts and such as rubber products, filters, fastening elements etc. does not demand application of expensively modern equipment and allows to make them at the existing Russian enterprises. Cost of such spare parts much more low in comparison with imported, and efficiency of deliveries much above. In this case there is no necessity to store in considerable quantities spare parts in warehouses of our dealers.

One more possibility of localisation of manufacture of cars to Russia, this building joint Russian - the Chinese factories on manufacture of such accessories for the Chinese technics as bridges, gear boxes, steering units. The price of the made accessories for joint ventures in Russia more low, than the price of accessories delivered from China. For such joint ventures new possibilities on expansion of the sphere of influence in the Russian market, after all almost all Chinese production which is delivered to Russia open, is equipped with identical basic accessories. In the last some years bridges and the gear boxes, made at the Chinese factories already are delivered to Russia for assembly of domestic marks of heavy trucks that does the organisation of co-production of accessories for the Chinese technics perspective and favourable.

On some models heavy trucks, buses and the road-building technics Chinese automobile manufacture have already received the international certificates of quality and have passed to the uniform ecological standard with the European manufacturers that opens one more possibility for export from Russia in the countries of Europe of accessories and the spare parts made at joint Russian-Chinese factories.

Creation of co-productions of spare parts and accessories will allow to provide close integration of the Russian and Chinese motor industry that will bring benefit to both countries and the most important thing to clients who wishes to maintain the qualitative, productive and inexpensive technics.

Investments into co-production of spare parts and accessories provide technological growth of mechanical engineering to Russia and strengthening of trade and economic relations between Russia and China.

• Crystal structures, kept here for reference:
........
# Sr3B6H2O13
Computed X-ray powder pattern, Cu Ka. Input: DFT lattice parameters and positions (GGA-PBE).
Neutral-atom scattering factors, no anomalous dispersion.

The 10 most intense peaks (2θ = 10–90°), most intense first:
2θ/deg, intensity, (hkl)
29.83, 100, -2 1 1
32.13, 94, 2 1 1
30.52, 91, 0 2 -2
30.97, 88, 0 2 2
31.19, 82, 0 0 4
19.65, 78, 1 0 -2
21.20, 78, 1 0 2
26.40, 70, 0 2 0
20.10, 66, 1 -1 1
27.00, 61, 0 1 3

Atomic structure:
```
data_Sr3B6H2O13
_symmetry_space_group_name_H-M 'P -1'
_symmetry_Int_Tables_number 2
_symmetry_space_group_name_Hall '-P 1'
_cell_length_a 6.687
_cell_length_b 6.763
_cell_length_c 11.504
_cell_angle_alpha 90.76
_cell_angle_beta 94.33
_cell_angle_gamma 93.01
loop_
_atom_site_label
_atom_site_type_symbol
_atom_site_fract_x
_atom_site_fract_y
_atom_site_fract_z
_atom_site_occupancy
Sr1 Sr 0.067 0.375 0.265 1
Sr2 Sr 0.319 0.237 0.971 1
Sr3 Sr 0.373 0.726 0.478 1
B1 B 0.052 0.855 0.277 1
B2 B 0.117 0.781 0.066 1
B3 B 0.177 0.237 0.560 1
B4 B 0.266 0.968 0.702 1
B5 B 0.380 0.979 0.202 1
B6 B 0.461 0.665 0.772 1
H1 H 0.258 0.662 0.906 1
H2 H 0.481 0.365 0.743 1
O1 O 0.012 0.275 0.625 1
O2 O 0.013 0.730 0.165 1
O3 O 0.038 0.726 0.959 1
O4 O 0.061 0.971 0.732 1
O5 O 0.242 0.363 0.479 1
O6 O 0.268 0.898 0.296 1
O7 O 0.285 0.065 0.584 1
O8 O 0.300 0.894 0.083 1
O9 O 0.312 0.756 0.691 1
O10 O 0.366 0.198 0.195 1
O11 O 0.374 0.588 0.881 1
O12 O 0.409 0.075 0.787 1
O13 O 0.459 0.511 0.286 1
```

----------

This entry pairs a crystal structure of Cs2GaTe2 with its simulated PXRD pattern. Radiation: Cu Kα, 1.54184 Å. Structure: DFT lattice parameters and positions (GGA-PBE).
No peak broadening, texture or thermal motion is included.

Principal peaks in the range 2θ = 10–90°, by angle:
6.417 Å, 2θ = 13.80°, I 45; 4.253 Å, 2θ = 20.89°, I 28; 4.063 Å, 2θ = 21.87°, I 39; 3.782 Å, 2θ = 23.52°, I 100; 3.167 Å, 2θ = 28.18°, I 17; 2.826 Å, 2θ = 31.66°, I 20; 2.778 Å, 2θ = 32.22°, I 31; 2.768 Å, 2θ = 32.34°, I 28; 2.719 Å, 2θ = 32.95°, I 18; 2.675 Å, 2θ = 33.51°, I 20

Crystal structure
a = 9.316 Å, b = 9.316 Å, c = 12.140 Å
α = 127.65°, β = 127.65°, γ = 47.90°
Positions (direct):
Cs1 0.103 0.103 0.327
Cs2 0.335 0.335 0.973
Cs3 0.665 0.665 0.027
Cs4 0.897 0.897 0.673
Ga1 0.377 0.377 0.338
Ga2 0.623 0.623 0.662
Te1 0.172 0.172 0.090
Te2 0.424 0.424 0.603
Te3 0.576 0.576 0.397
Te4 0.828 0.828 0.910

----------

Entry 1:
Calculated PXRD pattern
Compound: AcSbPt
Radiation: Cu Kα, 1.54184 Å
Structure: a cell relaxed with PBE

Most intense lines, 5 to 70 degrees two-theta, low angle first:
4.431 Å, 20.0°, I = 3, (0 0 1)
4.024 Å, 22.1°, I = 5, (1 0 0)
2.979 Å, 30.0°, I = 100, (0 1 1)
2.324 Å, 38.8°, I = 50, (1 1 0)
2.216 Å, 40.7°, I = 13, (0 0 2)
1.941 Å, 46.8°, I = 4, (1 0 2)
1.832 Å, 49.8°, I = 25, (2 0 1)
1.604 Å, 57.5°, I = 30, (1 1 2)
1.439 Å, 64.8°, I = 23, (1 2 1)
1.387 Å, 67.6°, I = 10, (0 1 3)

Structural model:
```
data_AcSbPt
_chemical_formula_sum 'Ac1 Sb1 Pt1'
_space_group_name_H-M_alt 'P 3 m 1'
_space_group_IT_number 156
........
• So much for the crystal structures:

WIB Corporation has a wide experience of cooperation with the Russian and Chinese factories on manufacture of quickly wearing and account materials for the Chinese auto trucks and invites to cooperation of all interested manufacturers and investors.